Listing.
The following is a DFT calculation (PBE) of a relaxed Tb6HoEr2Th crystal.

## Properties
As for the energy relative to the elements: 0.1489 eV per atom. The size of the total moment comes out at 0.00 μB per formula unit.

Structure (CIF):
```
data_Tb6HoEr2Th
_chemical_formula_sum 'Tb24 Ho4 Er8 Th4'
_cell_length_a 9.288
_cell_length_b 14.902
_cell_length_c 9.329
_cell_angle_alpha 90.00
_cell_angle_beta 95.14
_cell_angle_gamma 90.00
_space_group_name_H-M_alt 'C 1 2/c 1'
_space_group_IT_number 15
_space_group_name_Hall '-C 2yc'
loop_
_atom_site_label
_atom_site_type_symbol
_atom_site_fract_x
_atom_site_fract_y
_atom_site_fract_z
Tb1 Tb 0.058 0.175 0.441
Tb2 Tb 0.095 0.386 0.612
Tb3 Tb 0.211 0.221 0.814
Ho1 Ho 0.000 0.412 0.250
Er1 Er 0.247 0.449 0.946
Th1 Th 0.000 0.034 0.750
```

***

The following is a DFT calculation (PBE) of a relaxed La2Be4Ge3Ir crystal.

## Properties
As for the energy relative to the elements: -0.4761 eV per atom. The size of the total moment comes out at 0.00 μB per formula unit.

Structure (CIF):
```
data_La2Be4Ge3Ir
_chemical_formula_sum 'La2 Be4 Ge3 Ir1'
_cell_length_a 4.065
_cell_length_b 4.065
_cell_length_c 9.970
_cell_angle_alpha 90.00
_cell_angle_beta 90.00
_cell_angle_gamma 90.00
_space_group_name_H-M_alt 'P -4 m 2'
_space_group_IT_number 115
_space_group_name_Hall 'P -4 -2'
loop_
_atom_site_label
_atom_site_type_symbol
_atom_site_fract_x
_atom_site_fract_y
_atom_site_fract_z
La1 La 0.000 0.500 0.248
Be1 Be 0.000 0.000 0.000
Be2 Be 0.000 0.500 0.622
Be3 Be 0.500 0.500 0.000
Ge1 Ge 0.000 0.500 0.871
Ge2 Ge 0.500 0.500 0.500
Ir1 Ir 0.000 0.000 0.500
```

***

The following is a DFT calculation (PBE) of a relaxed Sm2Pd3Au crystal.

## Properties
As for the energy relative to the elements: -0.7878 eV per atom. As for the relative energy among the computed polymorphs: 0 meV/atom. The size of the total moment comes out at 0.00 μB per formula unit.

Structure (CIF):
```
data_Sm2Pd3Au
_chemical_formula_sum 'Sm8 Pd12 Au4'
_cell_length_a 7.342
_cell_length_b 3.929
_cell_length_c 17.539
_cell_angle_alpha 90.00
_cell_angle_beta 90.00
_cell_angle_gamma 90.00
_space_group_name_H-M_alt 'P n m a'
_space_group_IT_number 62
_space_group_name_Hall '-P 2ac 2n'
loop_
_atom_site_label
_atom_site_type_symbol
_atom_site_fract_x
_atom_site_fract_y
_atom_site_fract_z
Sm1 Sm 0.092 0.250 0.205
Sm2 Sm 0.167 0.250 0.429
Pd1 Pd 0.094 0.250 0.654
Pd2 Pd 0.222 0.250 0.805
Pd3 Pd 0.225 0.750 0.551
Au1 Au 0.006 0.750 0.066
```

***

The following is a DFT calculation (PBE) of a relaxed Tb2PmDyEr2 crystal.

## Properties
As for the energy relative to the elements: 0.2771 eV per atom. The size of the total moment comes out at 0.00 μB per formula unit.

Structure (CIF):
```
data_Tb2PmDyEr2
_chemical_formula_sum 'Tb4 Pm2 Dy2 Er4'
_cell_length_a 6.523
_cell_length_b 17.769
_cell_length_c 3.387
_cell_angle_alpha 90.00
_cell_angle_beta 90.00
_cell_angle_gamma 90.00
_space_group_name_H-M_alt 'P n n m'
_space_group_IT_number 58
_space_group_name_Hall '-P 2 2n'
loop_
_atom_site_label
_atom_site_type_symbol
_atom_site_fract_x
_atom_site_fract_y
_atom_site_fract_z
Tb1 Tb 0.225 0.186 0.000
Pm1 Pm 0.000 0.000 0.000
Dy1 Dy 0.000 0.500 0.000
Er1 Er 0.222 0.352 0.500
```

***

The following is a DFT calculation (PBE) of a relaxed AlPbSe3 crystal.

## Properties
The uncorrected formation energy comes out at 494 meV per atom. As for the relative energy among the computed polymorphs: 985 meV/atom. The size of the total moment comes out at 0.00 μB per formula unit.

Structure (CIF):
```
data_AlPbSe3
_chemical_formula_sum 'Al1 Pb1 Se3'
_cell_length_a 5.458
_cell_length_b 5.458
_cell_length_c 5.458
_cell_angle_alpha 90.00
_cell_angle_beta 90.00
_cell_angle_gamma 90.00
_space_group_name_H-M_alt 'P m -3 m'
_space_group_IT_number 221
_space_group_name_Hall '-P 4 2 3'
loop_
_atom_site_label
_atom_site_type_symbol
_atom_site_fract_x
_atom_site_fract_y
_atom_site_fract_z
Al1 Al 0.000 0.000 0.000
Pb1 Pb 0.500 0.500 0.500
Se1 Se 0.000 0.500 0.500
```

***

Request.
Search the lines further above for the word "calculation" and retype each line that has it, please.

Outcome.
The following is a DFT calculation (PBE) of a relaxed Tb6HoEr2Th crystal.
The following is a DFT calculation (PBE) of a relaxed La2Be4Ge3Ir crystal.
The following is a DFT calculation (PBE) of a relaxed Sm2Pd3Au crystal.
The following is a DFT calculation (PBE) of a relaxed Tb2PmDyEr2 crystal.
The following is a DFT calculation (PBE) of a relaxed AlPbSe3 crystal.